Low tax rate spur calls for tax reform. I propose a new form of taxation called progressive consumption taxes.

The recent Pro Publica report on the low incomes taxes paid by American billionaires at the same time that their net wealth has been increasing by very large amounts has sparked a lot of discussion about reforming the tax code. Some people would like to redefine what counts as income, and others would like to …

Do good jobs imply economic growth and more consumerism or can good work have some other significance?

The proposed Green New Deal is often touted as a generator of good jobs. Good jobs are generally understood to mean good pay and good benefits although other intangible factors such inherent interest of the work and sense of doing something beneficial for society play a role as well. At present a lot of the manufacturing associated …

Human creativity and consumption growth need to be decoupled if we are going to create an ecologically sane society.

In the past when I have attempted to discuss limits to economic growth and the destructive nature of consumerism as a primary driver of human social activity I have been told that there is no point in talking in this manner since if I am believed I will induce despair and depression rather than effective …

How is the American Green Party claim that the Green New Deal will pay for itself to be understood in terms of a growth based consumer society?

• These calculated molecules were left in the entry by mistake:
~~~
Record 1
# C26H44N2O15

A cluster of 7 separate species, C26H44N2O15 in total at a distorted geometry (ωB97M-V/def2-TZVPD, OMol25).

Geometry as XYZ:
```
87
Properties=species:S:1:pos:R:3:forces:R:3:mulliken_charge:R:1
C 0.736 -1.134 -4.030 -0.179 0.864 -0.441 -1.097
C -0.690 -0.443 -4.231 -0.180 0.402 1.666 0.380
C -1.350 0.084 -2.913 -0.915 -1.621 -0.316 0.356
O -2.121 1.206 -3.372 -1.240 -1.596 6.151 -0.319
C -1.841 1.525 -4.525 -0.307 4.272 -6.662 0.726
O -2.374 2.447 -5.172 1.568 -2.655 1.633 -0.670
O -0.867 0.746 -5.024 1.917 -0.423 -1.265 -0.432
H 0.622 -2.158 -3.610 -0.250 0.689 -0.386 0.293
H 1.418 -0.602 -3.340 -0.764 0.068 -0.067 0.167
H 1.350 -1.202 -4.955 -0.863 -0.079 0.253 0.383
H -1.424 -1.093 -4.645 -0.068 -1.267 -0.553 0.345
H -0.597 0.308 -2.187 0.305 0.846 0.545 -0.042
H -2.104 -0.618 -2.455 0.911 0.517 -0.531 -0.147
C 0.243 -4.810 1.324 -1.309 -1.320 0.518 -1.614
C 1.501 -4.064 1.146 1.499 -0.939 -1.489 0.629
C 2.216 -4.346 -0.230 3.256 2.866 3.346 -0.677
O 2.164 -3.033 -0.863 0.837 -2.297 -2.485 -0.396
C 1.683 -2.119 -0.086 -0.415 4.189 -1.806 0.214
O 1.619 -0.902 -0.398 0.128 -3.570 1.183 -0.544
O 1.234 -2.641 1.001 -0.876 -0.692 3.293 0.222
H -0.104 -4.598 2.344 -0.358 0.020 -0.330 0.374
H 0.333 -5.957 1.283 0.241 1.776 -0.177 0.354
H -0.479 -4.468 0.571 -0.106 -0.285 0.276 0.360
H 2.165 -4.344 1.996 -0.234 1.116 -0.540 0.235
H 1.969 -5.211 -0.729 -1.594 -1.198 -1.872 0.492
H 3.326 -4.500 -0.032 -1.186 0.217 -0.118 0.253
C -1.494 4.386 1.721 -0.903 -0.891 3.650 -1.503
C -0.352 4.160 0.852 0.410 -1.051 -0.979 0.694
C -0.175 2.801 0.160 1.418 1.358 1.035 0.784
O -0.833 3.033 -1.085 -0.827 -2.783 0.095 -0.034
C -0.931 4.326 -1.306 -0.548 1.198 -6.137 0.498
O -1.205 4.830 -2.419 0.400 -1.668 3.646 -0.654
O -0.533 4.981 -0.291 1.149 3.216 2.059 -0.380
H -1.388 5.372 2.188 0.279 -0.314 0.442 0.419
H -1.565 3.538 2.543 0.144 1.858 -1.452 0.233
H -2.441 4.521 1.265 -0.912 -0.614 -0.987 0.394
H 0.559 4.383 1.379 0.479 0.422 -0.061 -0.027
H -0.510 2.018 0.873 -0.107 0.055 -1.420 -0.716
H 0.923 2.784 -0.039 -0.804 -0.880 0.111 0.077
C 3.123 3.827 3.935 -1.816 -0.690 0.157 -0.173
O 4.291 3.447 3.289 1.328 -1.671 -4.852 -0.331
C 4.077 2.795 2.091 -5.299 -2.717 -3.329 0.474
O 2.837 2.441 1.436 7.038 2.959 4.451 -0.108
O 5.187 2.286 1.545 0.887 1.343 1.121 -0.368
C 5.236 1.961 0.127 -1.417 -0.037 -0.932 -0.408
H 2.930 2.943 4.537 -0.880 0.539 0.623 0.281
H 2.300 4.005 3.231 0.210 -0.311 0.170 -0.132
H 3.299 4.735 4.462 0.360 0.422 0.696 0.298
H 4.831 2.830 -0.413 -0.439 -0.565 0.175 0.277
H 4.622 1.046 0.009 0.185 0.723 -0.296 0.080
H 6.210 1.810 -0.410 -0.155 0.058 1.924 0.234
C -7.152 -0.472 -5.353 -3.439 1.003 1.066 -0.788
O -6.112 -0.521 -4.439 2.130 -0.734 0.756 -0.249
C -6.191 -1.182 -3.314 -6.948 -3.555 1.916 0.667
O -7.375 -1.801 -2.893 7.126 3.665 -2.309 -0.627
O -5.036 -1.214 -2.637 -1.208 1.215 -1.813 -0.151
C -5.177 -1.672 -1.349 -1.104 -0.487 3.123 -0.801
H -7.023 0.354 -5.961 1.235 1.605 -1.358 0.340
~~~

The American Green Party on its web page promoting legislation to combat climate claims that the Green New Deal will pay for itself via cuts in the military budget which will be enabled when we no longer need to protect foreign sources of oil and natural gas, and by a reduction in health care cost as fossil fuel related …

Proponents of Economic Degrowth discuss the strategy of transformation but do not put forward concrete proposals for the organizational structure of a post growth society

In an article entitled From Taming to Dismantling: Degrowth and Anti-capitalist Strategy Ekaterina Chertkovskaya (a researcher based at Lund University, working on degrowth and critical organization studies) uses sociologist Eric Olin Wright’s classification of anti-capitalist strategies to discuss possible paths of transformation to a post-growth society. Wright identifies three logics of transformation: ruptural, interstitial and symbiotic. Ruptural …

Does the developed world need to continue wasteful consumption in order to pull the developing world out of poverty?

John Cassidy of the New Yorker magazine in an article entitled Degrowth seen from the New Yorker wrote: “If major industrialized economies were to cut back their consumption and reorganize along more communal lines, who would buy all the components and gadgets and clothes that developing countries like Bangladesh, Indonesia, and Vietnam produce?“ If developing countries produce less consumer toys for …